This time every year, the New York Times’ David Brooks writes a column lauding the year’s best magazine articles — a nice gesture from every liberal’s favorite nice-guy-on-the-Right.

........
[1]
Calculated powder XRD pattern of Bi6O5F8 for Cu Kα X-rays, from a DFT-relaxed cell (GGA-PBE, the Materials Project).
Lines closer than 0.1° are merged.

Top 8 peaks for 2θ = 5–70°, in order of rising 2θ:
2θ/deg, I (rel.)
25.96, 100
26.80, 50
26.97, 50
29.96, 28
30.67, 20
31.19, 24
43.96, 17
44.26, 16

Structure:
```
19
Lattice="4.126 0.000 0.000 0.229 5.833 0.000 0.503 0.435 12.449" Properties=species:S:1:pos:R:3 pbc="T T T"
Bi 0.000 0.000 0.000
Bi 0.381 0.474 8.539
Bi 2.172 2.752 6.049
Bi 2.142 2.489 2.008
Bi 2.618 2.971 10.435
Bi 4.473 5.866 3.919
O 0.559 1.716 10.466
O 2.109 1.211 3.918
O 2.122 1.199 0.062
O 2.635 1.883 8.343
O 4.201 1.352 2.023
F 0.933 4.661 10.584
F 1.862 4.724 6.957
F 2.128 4.145 4.065
F 2.477 4.122 0.011
F 3.046 4.983 9.163
F 4.145 3.637 5.574
F 4.221 1.102 6.149
F 4.335 4.378 2.105
```

[2]
Calculated powder XRD pattern of Nd12InCo6 for Cu Kα X-rays, from a DFT-relaxed cell (GGA-PBE, the Materials Project).
Lines closer than 0.1° are merged.

Top 8 peaks for 2θ = 5–70°, in order of rising 2θ:
2θ/deg, I (rel.)
28.19, 46
30.95, 49
33.50, 100
35.89, 17
46.25, 25
53.37, 37
56.69, 36
66.00, 19

Structure:
```
19
Lattice="-5.004 5.004 5.004 5.004 -5.004 5.004 5.004 5.004 -5.004" Properties=species:S:1:pos:R:3 pbc="T T T"
Nd 5.004 -1.942 3.091
Nd 3.063 1.913 0.000
Nd 6.946 1.913 0.000
Nd 3.091 5.004 -1.942
Nd 1.913 0.000 3.063
Nd 0.000 3.063 1.913
Nd 5.004 1.942 3.091
Nd 3.091 5.004 1.942
Nd 1.913 0.000 6.946
Nd -1.942 3.091 5.004
Nd 1.942 3.091 5.004
Nd 0.000 6.946 1.913
In 0.000 0.000 0.000
Co 5.004 0.000 1.119
Co 5.004 3.886 0.000
Co 1.119 5.004 0.000
Co 3.886 0.000 5.004
Co 0.000 1.119 5.004
Co 0.000 5.004 3.886
```

[3]
Calculated powder XRD pattern of Cu3NiPbSe4 for Cu Kα X-rays, from a DFT-relaxed cell (GGA-PBE, the Materials Project).
Lines closer than 0.1° are merged.

Top 8 peaks for 2θ = 5–70°, in order of rising 2θ:
2θ/deg, I (rel.)
21.25, 45
26.10, 95
37.25, 23
43.28, 100
51.24, 42
58.40, 15
62.87, 15
69.26, 15

Structure:
```
9
Lattice="5.913 0.000 0.000 0.000 5.913 0.000 0.000 0.000 5.913" Properties=species:S:1:pos:R:3 pbc="T T T"
Cu 0.000 0.000 2.956
Cu 0.000 2.956 0.000
Cu 2.956 0.000 0.000
Ni 0.000 0.000 0.000
Pb 2.956 2.956 2.956
Se 1.347 1.347 1.347
Se 1.347 4.566 4.566
Se 4.566 1.347 4.566
Se 4.566 4.566 1.347
```

[4]
Calculated powder XRD pattern of ErB2Ru for Cu Kα X-rays, from a DFT-relaxed cell (GGA-PBE, the Materials Project).
Lines closer than 0.1° are merged.

Top 8 peaks for 2θ = 5–70°, in order of rising 2θ:
2θ/deg, I (rel.)
28.20, 22
33.82, 57
36.41, 90
37.71, 100
44.59, 18
62.20, 18
63.09, 24
63.34, 17

Structure:
```
16
Lattice="5.892 0.000 0.000 0.000 5.301 0.000 0.000 0.000 6.329" Properties=species:S:1:pos:R:3 pbc="T T T"
Er 0.060 1.325 1.037
Er 2.886 3.976 4.201
Er 3.006 1.325 2.127
Er 5.832 3.976 5.292
B 0.780 3.096 2.927
B 0.780 4.856 2.927
B 2.166 0.446 6.091
B 2.166 2.205 6.091
B 3.726 3.096 0.238
B 3.726 4.856 0.238
B 5.112 0.446 3.402
B 5.112 2.205 3.402
Ru 1.064 1.325 4.312
........

For my last column this year, I’d rather tap into my inner Scrooge for a list of the worst op-eds of 2010.

The modern op-ed dates from 1921, when New York World editor Herbert Bayard Swope first inflicted the genre upon the world. “Nothing is more interesting than opinion,” he rationalized, therefore, “I decided to print opinion, ignoring facts.”

**Attached: data records**
Starting from the GGA-PBE geometry in Alexandria, the PXRD pattern of Ta2Be16B was computed for copper Kα.
Neutral-atom scattering factors, no anomalous dispersion.

Crystal structure
```
data_Ta2Be16B
_chemical_formula_sum 'Ta6 Be48 B3'
_cell_length_a 7.3213
_cell_length_b 7.3213
_cell_length_c 10.6164
_cell_angle_alpha 90.00
_cell_angle_beta 90.00
_cell_angle_gamma 120.00
_symmetry_space_group_name_H-M 'R 3 m'
_symmetry_Int_Tables_number 160
_symmetry_space_group_name_Hall 'R 3 -2"'
loop_
_atom_site_label
_atom_site_type_symbol
_atom_site_fract_x
_atom_site_fract_y
_atom_site_fract_z
_atom_site_occupancy
Ta1 Ta 0.0000 0.0000 0.0000 1
Ta2 Ta 0.0000 0.0000 0.3249 1
Be1 Be 0.0000 0.0000 0.5756 1
Be2 Be 0.0048 0.5024 0.8202 1
Be3 Be 0.0361 0.3688 0.3301 1
Be4 Be 0.1683 0.3366 0.4971 1
Be5 Be 0.1688 0.3375 0.8401 1
B1 B 0.0000 0.0000 0.7687 1
```

Peak list (10 most intense, 2θ from 15° to 90°, sorted by position)
d [Å]  2theta  I (rel.)
5.443  16.28  64
4.070  21.84  27
3.661  24.31  100
3.539  25.17  30
3.038  29.40  18
2.544  35.28  87
2.113  42.79  30
1.830  49.82  22
1.814  50.28  41
1.289  73.49  22


(1)
This entry pairs a crystal structure of BaSeO3 with its calculated XRD peak list. Radiation: CuKα. Structure: the GGA-PBE geometry in Alexandria.

The 10 most intense peaks (10 to 90 degrees two-theta), sorted by position:
| 2theta | intensity |
| --- | --- |
| 26.2 | 100 |
| 29.9 | 59 |
| 40.1 | 34 |
| 43.7 | 23 |
| 50.8 | 26 |
| 53.1 | 14 |
| 62.1 | 10 |
| 62.8 | 16 |
| 68.6 | 13 |
| 69.9 | 10 |

Structure:
Lattice parameters (Å, degrees): 5.9794 5.9794 18.0858 90.00 90.00 120.00
Space group R3c (No. 161, hexagonal axes)
Symmetry-distinct sites (fractional):
Ba 0.0000 0.0000 0.0000
Se 0.0000 0.0000 0.2356
O 0.0395 0.4577 0.4443

=====

(2)
This entry pairs a crystal structure of Ba3Se2O with its calculated XRD peak list. Radiation: CuKα. Structure: the GGA-PBE geometry in Alexandria.

The 10 most intense peaks (10 to 90 degrees two-theta), sorted by position:
| 2theta | intensity |
| --- | --- |
| 23.5 | 50 |
| 24.7 | 33 |
| 26.3 | 55 |
| 26.8 | 41 |
| 28.4 | 20 |
| 32.1 | 34 |
| 33.5 | 100 |
| 40.9 | 19 |
| 42.3 | 18 |
| 43.0 | 21 |

Structure:
Lattice parameters (Å, degrees): 12.8120 8.2177 7.5732 90.00 90.00 90.00
Space group Cmc2_1 (No. 36)
Symmetry-distinct sites (fractional):
Ba 0.0000 0.1094 0.0000
Ba 0.1455 0.4693 0.6178
Se 0.1631 0.1648 0.3447
O 0.0000 0.3973 0.8712

=====

(3)
This entry pairs a crystal structure of Ba2Sm3Si3SeO12 with its calculated XRD peak list. Radiation: CuKα. Structure: the GGA-PBE geometry in Alexandria.

The 10 most intense peaks (10 to 90 degrees two-theta), sorted by position:
| 2theta | intensity |
| --- | --- |
| 21.5 | 23 |
| 26.9 | 11 |
| 29.7 | 37 |
| 30.6 | 100 |
| 43.8 | 22 |
| 46.9 | 12 |
| 47.0 | 15 |
| 48.7 | 13 |
| 60.2 | 15 |
| 60.6 | 11 |

Structure:
Lattice parameters (Å, degrees): 10.1101 10.1101 7.1773 90.00 90.00 120.00
Space group P6_3/m (No. 176)
Symmetry-distinct sites (fractional):
**The data records stop here**

The worst op-eds of 2010 stayed true to that vision. I looked for bad arguments, bad writing, and bad faith, awarding extra points for warped values, and limiting my picks to the major dailies.

Here goes:

5. Al Gore and David Blood, “Toward Sustainable Capitalism,” Wall Street Journal (June 24):

=====
The following is a computed powder diffraction line list of SmHo2Mg2. It was derived from a structure optimized by DFT (GGA-PBE), using λ = 1.5418 Å (Cu Kα).

Most intense lines, 10 to 90 degrees two-theta, in order of rising 2θ:
2θ (°)  d [Å]  I/Imax
20.66  4.300  143
24.04  3.702  201
25.16  3.539  290
32.11  2.787  225
32.78  2.732  276
33.20  2.698  1000
41.06  2.198  100
46.54  1.951  161
55.22  1.664  126
57.94  1.592  120
58.78  1.571  194
69.68  1.349  119

Structure:
```
data_SmHo2Mg2
_cell_length_a 3.735
_cell_length_b 27.874
_cell_length_c 5.464
_cell_angle_alpha 90.00
_cell_angle_beta 90.00
_cell_angle_gamma 90.00
_symmetry_space_group_name_H-M 'C m c m'
_symmetry_Int_Tables_number 63
_symmetry_space_group_name_Hall '-C 2c 2'
loop_
_atom_site_label
_atom_site_fract_x
_atom_site_fract_y
_atom_site_fract_z
_atom_site_occupancy
Sm1 0.000 0.151 0.250 1
Ho1 0.000 0.044 0.750 1
Ho2 0.000 0.237 0.750 1
Mg1 0.000 0.360 0.250 1
Mg2 0.000 0.448 0.750 1
```

=====

CaTl2C2O6: calculated powder X-ray diffraction pattern (Cu Kα (weighted mean of Kα1 and Kα2)), based on a structure optimized by DFT (PBE).
Lines closer than 0.1° are merged.

Atomic structure:
Unit cell a=7.5090 b=7.5090 c=7.5090 alpha=42.76 beta=42.76 gamma=42.76
Fractional coordinates of all 11 atoms:
Ca  0.0000  0.0000  0.0000
Tl  0.2139  0.2139  0.2139
Tl  0.7861  0.7861  0.7861
C  0.4022  0.4022  0.4022
C  0.5978  0.5978  0.5978
O  0.2658  0.2658  0.6768
O  0.2658  0.6768  0.2658
O  0.3232  0.7342  0.7342
O  0.6768  0.2658  0.2658
O  0.7342  0.3232  0.7342
O  0.7342  0.7342  0.3232

Main lines, low angle first (2θ = 10–90°):
2θ/deg	d (Å)	I/Imax
13.0	6.811	27.0
20.7	4.301	76.5
25.6	3.475	31.6
28.8	3.096	100.0
32.7	2.738	64.2
35.3	2.540	23.6
36.1	2.486	30.9
39.0	2.310	32.1
42.0	2.151	20.5
44.2	2.051	22.2
52.4	1.748	28.4
56.0	1.641	23.0

=====

# 1
# HfB2H6
Calculated PXRD pattern, Cu Kα X-rays. Input: a crystal structure in Alexandria, relaxed with GGA-PBE.

```
data_HfB2H6
_cell_length_a 6.257
_cell_length_b 6.257
_cell_length_c 6.257
_cell_angle_alpha 90.00
_cell_angle_beta 90.00
_cell_angle_gamma 90.00
_symmetry_space_group_name_H-M 'F m -3 m'
_symmetry_Int_Tables_number 225
_symmetry_space_group_name_Hall '-F 4 2 3'
loop_
_atom_site_label
_atom_site_type_symbol
_atom_site_fract_x
_atom_site_fract_y
_atom_site_fract_z
Hf1 Hf 0.000 0.000 0.000
B1 B 0.250 0.250 0.250
H1 H 0.000 0.000 0.304
```

Largest 11 diffraction maxima, by angle, 2θ = 15–90°:
h k l, 2θ (°), I/Imax
1 1 1, 24.64, 100
2 0 0, 28.53, 46
2 2 0, 40.79, 49
3 1 1, 48.24, 52
2 2 2, 50.53, 12
4 0 0, 59.05, 9
3 3 1, 64.96, 22
4 2 0, 66.87, 17
4 2 2, 74.25, 17
3 3 3, 79.61, 16
4 4 0, 88.37, 6

---

# 2
# Sm3SiBr3
Calculated PXRD pattern, Cu Kα X-rays. Input: a crystal structure in Alexandria, relaxed with GGA-PBE.

```
data_Sm3SiBr3
_cell_length_a 11.867
_cell_length_b 11.867
_cell_length_c 11.867
_cell_angle_alpha 90.00
_cell_angle_beta 90.00
_cell_angle_gamma 90.00
_symmetry_space_group_name_H-M 'I 41 3 2'
=====
## The text goes on

This pompous and impenetrable piece is the former veep’s deep-think vision for the economy (and a pitch for Gore’s lucrative green-energy investment firm). More than anything, though, it’s a hate crime against clear prose.

The authors’ use of the alleged verb “incent” — as in, we need to “incent investors to manage assets with a long-term perspective” — may leave you wondering, “Where’s the ‘English only’ movement when we really need it?”

4. Thomas Friedman, “Malia for President,” New York Times (May 29):

For bad op-eds, it’s tough to beat the New York Times’ Friedman, whose columns are hot, flat, and crowded with mixed metaphors, famous name-droppings, and juvenile political ideas.

During last summer’s “Did you plug the hole yet, daddy” frenzy over the BP oil spill, Friedman urged President Obama to “think like a kid.” “Daddy, why can’t you even mention the words ‘carbon tax’?” the 57-year-old columnist wailed.

3. Charles Krauthammer, “Throw the Wikibook at Them,” Washington Post (Dec. 3):

Craftwise, Krauthammer is among the best in the business — would that he’d more often use his power for good, not evil. In this column, about “getting” WikiLeaker Julian Assange, Krauthammer reminisces about a KGB assassination via “poisoned umbrella tip” but (somewhat grudgingly) concludes we’ll have to settle for making up a crime.

2. Frank Rich, “The Axis of the Obsessed and Deranged,” New York Times (Feb. 27):

Here, Rich waxes nostalgic about the militia scare of the ’90s, warning that the “tax protester” who flew a plane into an IRS building in February may be a dark harbinger of Tea Party terrorism to come. Political figures who tolerate anti-government rhetoric are “palling around with terrorists.”

1. David Broder, “How Obama Might Recover,” Washington Post (Oct. 31):

As the GOP was about to recapture the House, the Grand Poohbah of Beltway Consensus told our embattled president that he could become the “comeback kid” by “orchestrating a showdown” with Iran.

As “we accelerate preparations for war, the economy will improve,” which “will help him politically,” Broder wrote.

“I am not suggesting that the president incite a war to get re-elected,” Broder insisted, just pointing out that doing so might make Obama “one of the most successful presidents in history.” Ah, I see.

This year, America’s opinion leaders fantasized about assassinations and phony terror-scares, begged the president to solve their daddy issues, and helpfully suggested he put lives at risk to goose his approval rating. Still, it’s a good thing we haven’t ceded the nation’s op-ed pages to “extremists.”

There’s my top five. (I’m picturing the winners gushing a la Sally Field at the Oscars: “You hate me! You really hate me!”)

But your mileage may vary, so I welcome your candidates — even if I’m among them. Like they say, “It’s an honor just to be nominated!”